### Material
-- begin --
La2CoNiO6: simulated powder diffraction line list (a wavelength of 1.5418 Å), based on DFT lattice parameters and positions (PBE+U).
Intensities are scaled so that the largest is 100.

Structure:
Unit cell a=5.4924 b=5.6251 c=7.7381 alpha=90.64 beta=91.55 gamma=90.80
Element x y z (fractional)
La 0.0007 0.4979 0.2501
La 0.4982 0.0012 0.2514
La 0.5018 0.9988 0.7486
La 0.9993 0.5021 0.7499
Co 0.0000 0.0000 0.0000
Co 0.5000 0.5000 0.5000
Ni 0.0000 0.0000 0.5000
Ni 0.5000 0.5000 0.0000
O 0.0054 0.0617 0.2376
O 0.2146 0.3011 0.5259
O 0.2145 0.7102 0.0319
O 0.2853 0.2103 0.9689
O 0.2924 0.7894 0.4684
O 0.5005 0.4340 0.2542
O 0.4995 0.5660 0.7458
O 0.7076 0.2106 0.5316
O 0.7147 0.7897 0.0311
O 0.7855 0.2898 0.9681
O 0.7854 0.6989 0.4741
O 0.9946 0.9383 0.7624

Principal peaks in the range 2θ = 10–90°, by angle:
| index | d_spacing | two_theta | I_rel |
| --- | --- | --- | --- |
| 1 -1 0 | 3.957 | 22.5 | 12 |
| 0 2 0 | 2.812 | 31.8 | 51 |
| 1 1 -2 | 2.783 | 32.2 | 96 |
| 2 0 0 | 2.747 | 32.6 | 100 |
| 1 1 2 | 2.710 | 33.1 | 48 |
| 2 -2 0 | 1.978 | 45.9 | 30 |
| 2 2 0 | 1.950 | 46.6 | 29 |
| 0 0 4 | 1.934 | 47.0 | 28 |
| 1 3 -2 | 1.619 | 56.9 | 23 |
| -1 3 2 | 1.617 | 56.9 | 12 |
| 2 0 -4 | 1.602 | 57.5 | 21 |
| -2 2 4 | 1.392 | 67.3 | 16 |
-- stop --

### Brief
Please reproduce the lines earlier on up to the one that holds "1.617", that line included.

### Here it is
La2CoNiO6: simulated powder diffraction line list (a wavelength of 1.5418 Å), based on DFT lattice parameters and positions (PBE+U).
Intensities are scaled so that the largest is 100.

Structure:
Unit cell a=5.4924 b=5.6251 c=7.7381 alpha=90.64 beta=91.55 gamma=90.80
Element x y z (fractional)
La 0.0007 0.4979 0.2501
La 0.4982 0.0012 0.2514
La 0.5018 0.9988 0.7486
La 0.9993 0.5021 0.7499
Co 0.0000 0.0000 0.0000
Co 0.5000 0.5000 0.5000
Ni 0.0000 0.0000 0.5000
Ni 0.5000 0.5000 0.0000
O 0.0054 0.0617 0.2376
O 0.2146 0.3011 0.5259
O 0.2145 0.7102 0.0319
O 0.2853 0.2103 0.9689
O 0.2924 0.7894 0.4684
O 0.5005 0.4340 0.2542
O 0.4995 0.5660 0.7458
O 0.7076 0.2106 0.5316
O 0.7147 0.7897 0.0311
O 0.7855 0.2898 0.9681
O 0.7854 0.6989 0.4741
O 0.9946 0.9383 0.7624

Principal peaks in the range 2θ = 10–90°, by angle:
| index | d_spacing | two_theta | I_rel |
| --- | --- | --- | --- |
| 1 -1 0 | 3.957 | 22.5 | 12 |
| 0 2 0 | 2.812 | 31.8 | 51 |
| 1 1 -2 | 2.783 | 32.2 | 96 |
| 2 0 0 | 2.747 | 32.6 | 100 |
| 1 1 2 | 2.710 | 33.1 | 48 |
| 2 -2 0 | 1.978 | 45.9 | 30 |
| 2 2 0 | 1.950 | 46.6 | 29 |
| 0 0 4 | 1.934 | 47.0 | 28 |
| 1 3 -2 | 1.619 | 56.9 | 23 |
| -1 3 2 | 1.617 | 56.9 | 12 |